¡Celebra el mes del amor con nuestro exclusivo cóctel de temporada!
Disfruta de una mezcla romántica que combina Ginebra Pink, miel y un delicado macerado de fresas. Este cóctel está especialmente diseñado para parejas, ofreciendo una experiencia suave y deliciosa que elevará tus momentos juntos. ¡Brinda con elegancia y sabor!
¡Disfruta del sabor del océano con el Faro del Pacífico! Jägermeister, Convier y Amaretto se combinan con Martini Rosso y Limón Tahití para crear una experiencia única. Con un toque secreto de Elixir Mamoncillo e Hinojo, este cóctel te transportará a nuevas profundidades de sabor. Sumérgete en el placer y deja que el Faro del Pacífico ilumine tu noche. ¡Salud!
Nuestro coctel inspirado en el Village Game (discoteca histórica en Cali) es un coctel fresco a base de Viche, Lulo fresco, Syrup de Jamaica y ahumado de Canela. Escanea el código QR y escucha este clásico.
¡Disfruta de nuestro NUEVO cóctel Efímero! Un cóctel que despierta tus sentidos y que transporta tus deseos a un mundo de sabores con toques de Gin, lychees y la intensidad del arándano.
La Vida es Bella
El coctel perfecto para las celebraciones, evoca la fiesta, la alegría por un logro obtenido. Es perfecto para celebrar cualquier ocasión. A base de Ginebra, Licor de Sandia y Tonica pink.
De la Casa $54.500
Beefeater 24 $55.500
Citadelle $65.500
Acevichada cape gooseberry mojito with a mild touch of spiciness:
With house rum $41,500
Rum The Sorceress $59,000
Zacapa 23 $85,000
Acevichada cape gooseberry
What If i were
The first time
Based on coconut cream viche and tequila, with a flavor that reminds us of piña colada, but with original ingredients, which gives it a unique flavor:
House Tequila $66,500
Miracle $85,500
Don Julio Rested $108,000
ú ha ha
Based on Rum (4 Oz of the selected liquor) of your choice accompanied by peach liqueur, gulupa and corozo:
House Rum $44,000
The Sorceress $88,500
Zacapa 23 $119,000
Based on mezcal accompanied by campari, lemon juice, pineapple melao and tabasco.
The mojito accompanied by rum of your choice, like you've never had it before. In our style and with a touch of our corozo sangria:
From the House $41,500
The Sorceress $60,000
Zacapa 23 $75,000
Our signature cocktail bar. Based on tequila of your choice accompanied by arrechón, lemongrass and the secrets of our ancestors:
From the House $41,000
Miracle $45,500
Don Julio Rested $67,500
Don Julio 70 Years $75,000
Based on vodka of your choice accompanied by watermelon, liche, cinnamon and lemon syrup:
From the House $43,000
Gray Goose $62,500
Belvedere $66,000
Based on Vodka of your choice accompanied by Elixir de lulo, flavored with a subtle touch of cardamom, coconut sugar, and nitrogenous rose petals:
From the House $34,000
Gray Goose $62,500
Belvedere $66,500
Based on tequila, gulupa elixir, mint and lemon, it is a refreshing, smooth cocktail, with citrus notes and balanced sweetness:
From the House $38,500
Miracle $45,500
Don Julio 70 years $73,500
Someone pasted data records at this point:
/*
Here is a relaxed ZrSCl6O crystal from the Materials Project database. Energies are from GGA-PBE.

- density (Mg/m³) = 2.19
- DFT formation energy (kJ per mole of atoms) = -128.7
- MP2020-corrected energy (Ha/atom) = -0.1663
- M_tot (μB per formula unit) = 0.00

abc: 6.9245 22.3312 7.5743
angles: 90.00 114.21 90.00
Fractional positions:
1 Zr 0.0030 0.0750 0.1567
2 Zr 0.0030 0.4250 0.6567
3 Zr 0.9970 0.5750 0.3433
4 Zr 0.9970 0.9250 0.8433
5 S 0.3751 0.6410 0.8225
6 S 0.3751 0.8590 0.3225
7 S 0.6249 0.1410 0.6775
8 S 0.6249 0.3590 0.1775
9 Cl 0.1856 0.1671 0.1758
10 Cl 0.1856 0.3329 0.6758
11 Cl 0.2024 0.0258 0.9623
12 Cl 0.2024 0.4742 0.4623
13 Cl 0.2147 0.7196 0.8185
14 Cl 0.2147 0.7804 0.3185
15 Cl 0.2399 0.0335 0.4531
16 Cl 0.2399 0.4665 0.9531
17 Cl 0.2583 0.6106 0.2412
18 Cl 0.2583 0.8894 0.7412
19 Cl 0.3979 0.1747 0.7615
20 Cl 0.3979 0.3253 0.2615
21 Cl 0.6021 0.6747 0.7385
22 Cl 0.6021 0.8253 0.2385
23 Cl 0.7417 0.1106 0.2588
24 Cl 0.7417 0.3894 0.7588
25 Cl 0.7601 0.5335 0.0469
26 Cl 0.7601 0.9665 0.5469
27 Cl 0.7853 0.2196 0.6815
28 Cl 0.7853 0.2804 0.1815
29 Cl 0.7976 0.5258 0.5377
30 Cl 0.7976 0.9742 0.0377
31 Cl 0.8144 0.6671 0.3242
32 Cl 0.8144 0.8329 0.8242
33 O 0.2298 0.6043 0.6604
34 O 0.2298 0.8957 0.1604
35 O 0.7702 0.1043 0.8396
36 O 0.7702 0.3957 0.3396

Here is a relaxed SbCl6O2 crystal from the Materials Project database. Energies are from GGA-PBE.

- density (Mg/m³) = 2.49
- DFT formation energy (kJ per mole of atoms) = 1.1
- MP2020-corrected energy (Ha/atom) = -0.1021
- M_tot (μB per formula unit) = 5.00
- distance to the lowest polymorph of the same formula (kcal/mol of atoms) = 9.354

abc: 7.1770 7.1770 12.8580
angles: 110.58 110.58 53.30
Fractional positions:
1 Sb 0.0000 0.0000 0.0000
2 Sb 0.0000 0.0000 0.5000
3 Cl 0.0164 0.2207 0.3956
4 Cl 0.0632 0.6838 0.3388
5 Cl 0.1865 0.5821 0.9328
6 Cl 0.2207 0.0164 0.8956
7 Cl 0.3162 0.9368 0.1612
8 Cl 0.4178 0.8135 0.5672
9 Cl 0.5821 0.1865 0.4328
10 Cl 0.6838 0.0632 0.8388
11 Cl 0.7793 0.9836 0.1044
12 Cl 0.8135 0.4178 0.0672
13 Cl 0.9368 0.3163 0.6612
14 Cl 0.9836 0.7793 0.6044
15 O 0.3701 0.4738 0.6788
16 O 0.4738 0.3701 0.1788
17 O 0.5262 0.6299 0.8212
18 O 0.6299 0.5262 0.3212

Here is a relaxed Sb4ClO6 crystal from the Materials Project database. Energies are from GGA-PBE.

- density (Mg/m³) = 5.06
- DFT formation energy (kJ per mole of atoms) = -152.5
- MP2020-corrected energy (Ha/atom) = -0.2186
- M_tot (μB per formula unit) = 0.24

abc: 9.8282 9.8282 10.9814
angles: 110.82 110.82 24.24
Fractional positions:
1 Sb 0.0015 0.0015 0.2884
2 Sb 0.1925 0.1925 0.3468
3 Sb 0.2335 0.2335 0.8207
4 Sb 0.4228 0.4228 0.0282
5 Sb 0.5772 0.5772 0.9718
6 Sb 0.7665 0.7665 0.1793
7 Sb 0.8075 0.8075 0.6532
8 Sb 0.9985 0.9985 0.7116
9 Cl 0.3865 0.3865 0.5025
10 Cl 0.6135 0.6135 0.4975
11 O 0.0665 0.0665 0.9157
12 O 0.0858 0.0858 0.2252
13 O 0.2351 0.2351 0.2005
14 O 0.2972 0.2972 0.7071
15 O 0.3155 0.3155 0.9985
16 O 0.4680 0.4680 0.2228
17 O 0.5320 0.5320 0.7772
18 O 0.6845 0.6845 0.0015
*/
The data records stop here:
Corozo wine-based sangria, with Pacific fruits: Pineapple, Carambolo, Apple, Orange. Presentation by 750 ml.
of Corozo
Based on Coconut Rum, Viche, Mandarin Lemon and Passion Fruit Honey
Gin tonic
of the house
For Gin & Tonic lovers, enjoy the gin of your choice accompanied by an intense aroma of Feijoa, soft and fruity notes. You definitely have to try it:
From the House $39,000
Tanqueray Ten $55,500
Hendrick's $63,000
The London $70,500
Coctel refrescante, frisante, balanceado. A base de ginebra, almíbar de papayuela, zumo de limón y tónica.
∙ Ginebra
∙ Sirup de papayuela ∙ Zumo de limón
∙ Tónica
De La Casa $44.000
Tangueray Ten $57.500
Hendrick's $68.000
The London $76.000